đ°Object Menu
Menu options for objects
Last updated
Menu options for objects
Last updated
Right-click on an object to invoke the context menu for objects.
The first item at the top of the menu is a toggle switch to activate or deactivate the game object. The name of the primary object selected is displayed, however changes are applied to all objects selected.
This converts the selected object(s) into a precomp, which places the objects inside a new Timeflow child. Precomposing is a way of grouping animations together in their own individual Timeflow instance. Precomps may also be made into prefabs and used across multiple scenes.
This inserts a new Timeflow game object as a child of the currently active Timeflow.
For more information see Precomposing and Prefabs
This sorts objects and channels alphabetically by name. It applies to all selected, or if nothing is selected then it applies to all displayed.
Toggles the display of children on the object. If already hidden, the menu reads Show Children.
This is the same as holding Control when clicking the foldout arrow next to the object name. Objects are not hidden in the hierarchy view.
This sorts the children of the selected game objects by name in ascending order. This can be helpful to organize child lists. Objects can also be manually reordered if needed by dragging and dropping them in the Object Panel.
# Calculated molecules, as found in the file
-- begin --
14
Properties=species:S:1:pos:R:3:forces:R:3 method="wB97M-V/def2-TZVPD" total_charge=+1 orbital_gap_ev=9.502 homo_ev=-13.31 smiles=C[NH2+]CCI lumo_energy_ha=-0.1400
C 1.830596 -0.490594 -0.464981 -0.0345 3.6476 0.5664
C -0.697151 -0.424446 0.159558 1.2722 0.2914 -0.8193
C -1.769727 0.625386 0.232681 1.0117 1.1663 1.3830
N 0.894223 0.323964 0.411707 -2.0655 0.9201 -3.9827
I -3.497040 -0.080506 -0.762931 -0.0037 0.0105 0.2156
H 1.610630 -0.170160 -1.461354 0.0886 0.2309 -0.6599
H 2.864489 -0.307423 -0.225610 0.2275 -0.3656 0.2475
H 1.411530 -1.387977 -0.343033 -0.2596 -4.1064 0.3232
H -0.574583 -0.920561 -0.843152 -0.0847 1.0335 0.7996
H -0.810527 -1.250743 0.855749 0.5589 0.2216 0.5740
H -1.972233 1.015494 1.326280 0.2390 -0.9317 -2.3005
H -1.319720 1.426705 -0.370555 -0.8937 0.2620 0.2106
H 1.022419 0.280178 1.363355 0.8746 -0.3512 2.7805
H 1.007089 1.360681 0.122287 -0.9307 -2.0290 0.6620

16
Properties=species:S:1:pos:R:3:forces:R:3 method="wB97M-V/def2-TZVPD" total_charge=+1 orbital_gap_ev=7.778 homo_ev=-12.79 lumo_energy_ha=-0.1841
C -1.513700 1.928205 0.286427 -0.0122 2.5452 -1.5107
C -1.434819 -1.457264 0.452328 -0.8692 -0.7311 -2.0006
C 3.025171 -1.408587 -0.067088 4.3006 5.4316 0.3800
N -1.151363 0.793825 0.585904 -0.4537 -0.7586 -0.4764
N -0.887978 2.666243 -0.668608 0.3863 -0.3148 -0.3212
N -0.844239 -0.263022 0.950195 1.7661 -2.3690 1.8984
I 1.960199 -0.231220 -1.486245 -0.1984 -0.3066 -0.1107
H -2.336168 2.267819 0.882562 -0.4703 0.6830 -0.0043
H -1.018911 -2.394163 0.807907 0.7806 0.4289 -0.2211
H -2.448854 -1.543597 0.711129 -1.6900 0.4323 1.5027
H -1.708447 -1.410806 -0.626065 1.3093 -0.0830 0.1619
H 3.060223 -0.733397 0.886086 0.0745 -1.4387 -1.7904
H 4.110764 -1.499963 -0.502248 -2.2172 0.1556 0.9458
H -1.400316 3.341912 -1.232306 0.0800 -0.2189 0.5706
H -0.066169 2.243568 -1.131681 -0.7764 0.3375 0.4368
H 2.654600 -2.299552 0.151700 -2.0100 -3.7934 0.5391

16
Properties=species:S:1:pos:R:3:forces:R:3 method="wB97M-V/def2-TZVPD" orbital_gap_ev=7.595 homo_ev=-8.15 lumo_energy_ha=-0.0204
C -0.027020 -0.103600 1.843784 -1.4621 1.9724 -1.3412
C 1.909080 0.998029 -0.578889 1.0390 0.1989 -0.2197
C -0.175073 -1.434258 -0.857980 -1.4295 0.2795 1.1003
O -2.023864 1.317461 -1.890999 0.1156 0.1509 -1.0027
Si 0.361771 0.145412 0.081789 -2.1317 -0.9778 -1.8612
S -1.940829 1.359567 -0.427386 1.3888 -0.3273 0.8661
I -3.467281 -0.458554 0.347876 0.0047 0.0023 0.1569
H 0.470158 -0.763189 2.417587 1.8979 -2.7142 1.6082
H 0.173661 0.827423 2.308689 -0.1510 1.2383 0.7425
H -1.102635 -0.316741 1.891021 0.3054 0.0849 0.0595
H 2.628924 0.379980 -1.232995 -1.0362 0.3694 1.5675
H 1.624677 1.726884 -1.331008 -0.4735 0.4092 -0.0283
H 2.451627 1.591410 0.213313 -0.3713 -0.8367 -0.8076
H -0.900114 -1.306252 -1.755301 1.6779 -0.2306 1.3702
H 0.765562 -1.963953 -1.005573 -0.2097 -0.3656 -0.6965
H -0.748643 -1.999623 -0.023927 0.8357 0.7464 -1.5141

14
-- stop --
This adds a new game object as a child of the currently selected object.
Use the keyboard shortcut Alt + Shift + N to add a new child object.
If multiple objects are selected when adding a child, only 1 new game object is created, parented under the primary object selected.
This adds a new game object to the scene, appending to the view. The object is automatically setup with TimeflowObject and is ready to animate.
Use the keyboard shortcut Control + Shift + N to add a new game object.
This creates a new parent game object, making the currently selected objects its children. The parent position and rotation is matched to the selected objects, while the objects retain their local scale.
Use the keyboard shortcut Control + Alt + G to group selected objects. Note that this might conflict with other keyboard mappings of other 3rd party tools, in which case you can decide which you prefer using the Shortcuts Manager in Unity.
This unparents the children of the selected objects. No objects are destroyed in this operation.
Use the keyboard shortcut Control + Alt + Shift + G to ungroup the selected objects.
This moves the selected object in its local hierarchy to either be the first child, or last child.
Resets the tracks on all selected objects back to Auto Full Length and locked.
Use this command to merge track sections whose ends touch or are within time tolerance.
Removes the selected objects from the current display list.
Only affects the object display and doesn't otherwise modify or destroy objects.
Data records from another source follow.
Entry 1:
{"formula": "C6H14O", "method": "wB97M-V/def2-TZVPD", "elements": ["C", "C", "C", "C", "C", "C", "H", "H", "H", "H", "H", "H", "H", "H", "H", "H", "H", "H", "H", "H", "O"], "coordinates": [[-1.951, -3.176, -0.145], [-0.860, -2.142, -0.414], [-0.687, -1.125, 0.692], [-1.534, -0.999, 1.732], [0.587, -0.280, 0.644], [0.537, 1.035, 1.401], [-1.906, -3.453, 0.910], [-2.023, -4.059, -0.769], [-2.951, -2.722, -0.222], [0.082, -2.699, -0.416], [-1.095, -1.669, -1.370], [-2.433, -1.597, 1.774], [-1.144, -0.562, 2.640], [0.744, -0.160, -0.428], [1.400, -0.934, 0.993], [-0.330, 1.614, 1.074], [1.460, 1.593, 1.263], [0.392, 0.922, 2.476], [2.353, 5.779, -2.791], [2.963, 4.765, -3.726], [3.189, 5.402, -3.022]], "lowdin_charge": [-0.129, -0.222, -0.324, 0.045, -0.231, -0.116, 0.066, 0.066, 0.076, 0.117, 0.114, 0.048, 0.057, 0.104, 0.118, 0.080, 0.068, 0.062, 0.014, 0.046, -0.060], "energy_ha": -312.208691, "homo_ev": -9.149, "smiles": "C=C(CC)CC.O", "relative_energy_kcal_mol": 29.1, "homo_lumo_gap_ev": 10.025}


Entry 2:
{"formula": "H24O12", "method": "wB97M-V/def2-TZVPD", "elements": ["O", "H", "H", "O", "H", "H", "O", "H", "H", "O", "H", "H", "O", "H", "H", "O", "H", "H", "O", "H", "H", "O", "H", "H", "O", "H", "H", "O", "H", "H", "O", "H", "H", "O", "H", "H"], "coordinates": [[2.434, -2.029, 1.463], [2.028, -1.203, 1.113], [2.862, -1.806, 2.340], [-0.114, -2.520, 0.987], [0.222, -2.078, 0.175], [0.403, -2.178, 1.611], [1.600, 2.779, -0.443], [1.169, 3.602, -0.368], [1.162, 2.066, -0.129], [1.085, -1.814, -1.476], [1.248, -2.706, -2.092], [1.267, -1.172, -2.244], [-2.157, -0.357, -2.650], [-1.312, -0.316, -2.127], [-2.000, -1.140, -3.022], [-1.366, 0.596, 2.250], [-1.756, 1.521, 2.521], [-2.148, 0.023, 2.252], [0.692, 0.032, 4.011], [0.818, 0.634, 4.635], [-0.001, 0.340, 3.446], [2.079, 0.298, 1.158], [2.776, 0.844, 1.176], [1.869, 0.507, 2.005], [-3.861, -1.322, -0.611], [-3.577, -1.498, 0.274], [-2.991, -0.980, -1.014], [1.400, 0.306, -3.289], [1.031, 0.565, -4.078], [2.353, 0.226, -3.464], [-2.178, 2.783, -1.165], [-2.173, 2.911, -2.146], [-1.787, 1.920, -0.953], [-0.565, 0.483, -0.276], [-0.824, 0.496, 0.655], [0.314, 0.190, -0.526]], "lowdin_charge": [-0.116, -0.043, 0.074, -0.028, -0.006, -0.082, 0.010, 0.027, -0.076, -0.144, 0.166, 0.017, -0.011, 0.039, -0.026, -0.061, 0.160, 0.088, 0.025, -0.034, -0.020, 0.065, 0.034, 0.011, -0.084, -0.006, 0.028, -0.001, 0.016, 0.083, -0.092, 0.057, -0.018, -0.064, -0.004, 0.016], "energy_ha": -917.167254, "homo_ev": -9.994, "smiles": "O.O.O.O.O.O.O.O.O.O.O.O", "relative_energy_kcal_mol": 99.2, "homo_lumo_gap_ev": 9.830}


Entry 3:
End of the data records.
This fully removes all Timeflow related components from the selected game objects. This can be used to strip away Timeflow animation, but leave other components intact.
_Next to the entry, the page also holds calculated molecules_
........
Record 1
{
  "formula": "C14H16",
  "method": "ωB97M-V/def2-TZVPD",
  "symbols": ["C", "C", "C", "C", "C", "C", "C", "H", "H", "H", "H", "H", "H", "H", "H", "C", "C", "C", "C", "C", "C", "C", "H", "H", "H", "H", "H", "H", "H", "H"],
  "xyz": [[1.57080, 2.96487, -1.39048], [1.09629, 0.91893, 1.73622], [0.82539, 1.50635, 0.51957], [2.44605, 0.77470, 2.11289], [1.87695, 2.04961, -0.24971], [3.47752, 1.25728, 1.36240], [3.19421, 1.95272, 0.14772], [0.21503, 0.56227, 2.25406], [-0.20838, 1.67653, 0.24824], [2.63838, 0.10316, 2.94497], [4.48952, 0.93773, 1.57232], [2.47054, 3.36279, -1.84823], [0.85867, 3.72719, -1.08074], [3.94743, 2.25089, -0.56111], [1.14633, 2.40524, -2.24708], [-1.22846, -3.47816, 0.85835], [-1.37640, -0.40041, -1.43535], [-0.90339, -1.39793, -0.54105], [-2.71526, -0.16742, -1.54882], [-1.71522, -2.29577, 0.09500], [-3.61864, -1.04283, -0.88065], [-3.08828, -2.04275, -0.07396], [-0.60608, 0.14465, -1.96220], [0.17581, -1.31509, -0.44511], [-3.13362, 0.68438, -2.07024], [-4.68494, -1.07538, -1.03466], [-1.83452, -3.69028, 1.72782], [-0.18804, -3.36880, 1.16312], [-3.83308, -2.65323, 0.42692], [-1.29464, -4.35127, 0.19975]],
  "atomic_forces_ev_per_a": [[-0.45, -1.03, -1.36], [0.30, 0.17, -1.04], [0.66, 0.87, 0.27], [-1.17, -1.11, 0.90], [-0.34, 0.87, 0.27], [0.22, 0.21, -1.90], [-0.37, -1.55, 1.28], [0.46, -0.27, 0.57], [0.02, -0.08, -0.30], [0.22, 0.39, 0.19], [0.09, 0.35, 0.27], [0.15, 0.51, 0.39], [0.16, 0.19, -0.20], [0.39, 0.33, 0.25], [-0.33, 0.18, 0.44], [0.27, -0.24, -0.21], [0.44, -0.68, 1.18], [0.96, 1.18, -1.41], [-1.71, -0.38, 0.19], [-0.92, 0.80, 0.02], [1.73, -0.19, 0.04], [-0.78, -0.27, -0.21], [-0.23, 0.42, 0.01], [0.03, -0.86, 0.29], [0.20, -0.14, -0.43], [-0.14, 0.63, 0.05], [-0.17, 0.01, 0.27], [-0.01, 0.02, 0.00], [0.24, -0.33, 0.05], [0.09, -0.01, 0.15]],
  "nbo_charge": [-0.632, -0.192, -0.222, -0.233, -0.013, -0.202, -0.219, 0.218, 0.216, 0.210, 0.213, 0.214, 0.222, 0.209, 0.211, -0.628, -0.211, -0.214, -0.224, -0.020, -0.210, -0.209, 0.213, 0.215, 0.212, 0.215, 0.218, 0.220, 0.201, 0.223],
  "e_above_lowest_kcal_mol": 18.7,
  "multiplicity": 1,
  "smiles": "Cc1ccccc1.Cc1ccccc1",
  "largest_force_ev_per_a": 2.07,
  "charge": 0
}

---

Record 2
{
  "formula": "C14H16",
  "method": "ωB97M-V/def2-TZVPD",
  "symbols": ["C", "C", "C", "C", "C", "C", "C", "H", "H", "H", "H", "H", "H", "H", "H", "C", "C", "C", "C", "C", "C", "C", "H", "H", "H", "H", "H", "H", "H", "H"],
........
This is also accessible from the Game Object menu.
Select this command to delete the selected game objects.